### What to do
Echo all of the data underneath word for word, please.
### Material
********
# MnGe2BrF, relaxed, DFT PBE with a Hubbard U
# Total DFT energy (no corrections), eV/cell: -17.96
# Total magnetization, μB/cell: 4.3
data_MnGe2BrF
_chemical_formula_sum 'Mn1 Ge2 Br1 F1'
_cell_length_a 5.223
_cell_length_b 5.223
_cell_length_c 4.527
_cell_angle_alpha 90.00
_cell_angle_beta 90.00
_cell_angle_gamma 90.00
_space_group_name_H-M_alt 'P 4/m m m'
_space_group_IT_number 123
_space_group_name_Hall '-P 4 2'
loop_
_atom_site_label
_atom_site_fract_x
_atom_site_fract_y
_atom_site_fract_z
Mn1 0.000 0.000 0.000
Ge1 0.000 0.500 0.500
Br1 0.500 0.500 0.500
F1 0.500 0.500 0.000

~~~~~

Material: Mg2BiPd6
Method: DFT, PBE
State: relaxed

```
Mg2BiPd6
1.0
4.106 0.000 -0.168
0.000 6.595 0.000
-1.824 -3.298 6.423
Pd Mg Bi
6 2 1
direct
0.500 0.722 0.000 Pd
0.833 0.574 0.664 Pd
0.167 0.426 0.336 Pd
0.500 0.278 0.000 Pd
0.833 0.090 0.664 Pd
0.167 0.910 0.336 Pd
0.326 0.325 0.650 Mg
0.674 0.675 0.350 Mg
0.000 0.000 0.000 Bi
```

Output
SG = C2/m
ΔE_f = -0.226 eV per atom

~~~~~

InO4 after structural relaxation, computed with PBE-GGA.

Lattice parameters (Å, degrees): 4.259 4.259 4.259 90.00 90.00 90.00
Element x y z (fractional)
1 O 0.000 0.000 0.000
2 O 0.500 0.000 0.500
3 O 0.000 0.500 0.500
4 O 0.500 0.500 0.000
5 In 0.500 0.500 0.500

- Formation energy without anion corrections: 0.56 eV per atom
- Symmetry: Pm-3m (221)
- VASP energy: -3.959 eV per atom

~~~~~

1.
# LiCaSmSn

A relaxed LiCaSmSn crystal (GGA-PBE, Alexandria via LeMat-Bulk).

CIF file:
```
data_LiCaSmSn
_cell_length_a 7.571
_cell_length_b 7.571
_cell_length_c 7.571
_cell_angle_alpha 90.00
_cell_angle_beta 90.00
_cell_angle_gamma 90.00
_symmetry_space_group_name_H-M 'F -4 3 m'
_symmetry_Int_Tables_number 216
_symmetry_space_group_name_Hall 'F -4 2 3'
loop_
_atom_site_label
_atom_site_type_symbol
_atom_site_fract_x
_atom_site_fract_y
_atom_site_fract_z
Li1 Li 0.000 0.000 0.000
Ca1 Ca 0.250 0.250 0.250
Sm1 Sm 0.250 0.250 0.750
Sn1 Sn 0.000 0.000 0.500
```

* formation enthalpy at 0 K: -433.5 meV/atom

***

2.
# KSn3Pd

A relaxed KSn3Pd crystal (GGA-PBE, Alexandria via LeMat-Bulk).

CIF file:
```
data_KSn3Pd
_cell_length_a 9.060
_cell_length_b 7.202
_cell_length_c 9.759
_cell_angle_alpha 90.00
_cell_angle_beta 117.97
_cell_angle_gamma 90.00
_symmetry_space_group_name_H-M 'P 1 21/c 1'
_symmetry_Int_Tables_number 14
_symmetry_space_group_name_Hall '-P 2ybc'
loop_
_atom_site_label
_atom_site_type_symbol
_atom_site_fract_x
_atom_site_fract_y
_atom_site_fract_z
K1 K 0.130 0.080 0.227
Sn1 Sn 0.163 0.615 0.102
Sn2 Sn 0.307 0.013 0.940
Sn3 Sn 0.450 0.161 0.670
Pd1 Pd 0.451 0.680 0.053
```

* formation enthalpy at 0 K: -286.8 meV/atom

***

3.
# Pm4Sm3Sc2

A relaxed Pm4Sm3Sc2 crystal (GGA-PBE, Alexandria via LeMat-Bulk).

CIF file:
```
data_Pm4Sm3Sc2
_cell_length_a 15.135
_cell_length_b 5.046
_cell_length_c 7.917
_cell_angle_alpha 90.00
_cell_angle_beta 108.57
_cell_angle_gamma 90.00
_symmetry_space_group_name_H-M 'C 1 2/m 1'
_symmetry_Int_Tables_number 12
_symmetry_space_group_name_Hall '-C 2y'
loop_
_atom_site_label
_atom_site_type_symbol
_atom_site_fract_x
_atom_site_fract_y
_atom_site_fract_z
Pm1 Pm 0.054 0.000 0.327
Pm2 Pm 0.222 0.500 0.323
Sm1 Sm 0.000 0.500 0.000
Sm2 Sm 0.113 0.500 0.673
Sc1 Sc 0.170 0.000 0.999
```

* formation enthalpy at 0 K: 45.6 meV/atom

***

4.
# Co2NiSb

A relaxed Co2NiSb crystal (GGA-PBE, Alexandria via LeMat-Bulk).

CIF file:
```
data_Co2NiSb
_cell_length_a 2.965
_cell_length_b 3.404
_cell_length_c 5.248
_cell_angle_alpha 90.00
_cell_angle_beta 90.00
_cell_angle_gamma 90.00
_symmetry_space_group_name_H-M 'P m m m'
_symmetry_Int_Tables_number 47
_symmetry_space_group_name_Hall '-P 2 2'
loop_
_atom_site_label
_atom_site_type_symbol
_atom_site_fract_x
_atom_site_fract_y
_atom_site_fract_z
Co1 Co 0.000 0.000 0.231
Ni1 Ni 0.500 0.500 0.000
Sb1 Sb 0.500 0.500 0.500
```

***

5.
# MnAs

A relaxed MnAs crystal (GGA-PBE, Alexandria via LeMat-Bulk).

CIF file:
```
data_MnAs
_cell_length_a 3.6879
_cell_length_b 3.6879
_cell_length_c 11.4306
********
### Outcome
# MnGe2BrF, relaxed, DFT PBE with a Hubbard U
# Total DFT energy (no corrections), eV/cell: -17.96
# Total magnetization, μB/cell: 4.3
data_MnGe2BrF
_chemical_formula_sum 'Mn1 Ge2 Br1 F1'
_cell_length_a 5.223
_cell_length_b 5.223
_cell_length_c 4.527
_cell_angle_alpha 90.00
_cell_angle_beta 90.00
_cell_angle_gamma 90.00
_space_group_name_H-M_alt 'P 4/m m m'
_space_group_IT_number 123
_space_group_name_Hall '-P 4 2'
loop_
_atom_site_label
_atom_site_fract_x
_atom_site_fract_y
_atom_site_fract_z
Mn1 0.000 0.000 0.000
Ge1 0.000 0.500 0.500
Br1 0.500 0.500 0.500
F1 0.500 0.500 0.000

~~~~~

Material: Mg2BiPd6
Method: DFT, PBE
State: relaxed

```
Mg2BiPd6
1.0
4.106 0.000 -0.168
0.000 6.595 0.000
-1.824 -3.298 6.423
Pd Mg Bi
6 2 1
direct
0.500 0.722 0.000 Pd
0.833 0.574 0.664 Pd
0.167 0.426 0.336 Pd
0.500 0.278 0.000 Pd
0.833 0.090 0.664 Pd
0.167 0.910 0.336 Pd
0.326 0.325 0.650 Mg
0.674 0.675 0.350 Mg
0.000 0.000 0.000 Bi
```

Output
SG = C2/m
ΔE_f = -0.226 eV per atom

~~~~~

InO4 after structural relaxation, computed with PBE-GGA.

Lattice parameters (Å, degrees): 4.259 4.259 4.259 90.00 90.00 90.00
Element x y z (fractional)
1 O 0.000 0.000 0.000
2 O 0.500 0.000 0.500
3 O 0.000 0.500 0.500
4 O 0.500 0.500 0.000
5 In 0.500 0.500 0.500

- Formation energy without anion corrections: 0.56 eV per atom
- Symmetry: Pm-3m (221)
- VASP energy: -3.959 eV per atom

~~~~~

1.
# LiCaSmSn

A relaxed LiCaSmSn crystal (GGA-PBE, Alexandria via LeMat-Bulk).

CIF file:
```
data_LiCaSmSn
_cell_length_a 7.571
_cell_length_b 7.571
_cell_length_c 7.571
_cell_angle_alpha 90.00
_cell_angle_beta 90.00
_cell_angle_gamma 90.00
_symmetry_space_group_name_H-M 'F -4 3 m'
_symmetry_Int_Tables_number 216
_symmetry_space_group_name_Hall 'F -4 2 3'
loop_
_atom_site_label
_atom_site_type_symbol
_atom_site_fract_x
_atom_site_fract_y
_atom_site_fract_z
Li1 Li 0.000 0.000 0.000
Ca1 Ca 0.250 0.250 0.250
Sm1 Sm 0.250 0.250 0.750
Sn1 Sn 0.000 0.000 0.500
```

* formation enthalpy at 0 K: -433.5 meV/atom

***

2.
# KSn3Pd

A relaxed KSn3Pd crystal (GGA-PBE, Alexandria via LeMat-Bulk).

CIF file:
```
data_KSn3Pd
_cell_length_a 9.060
_cell_length_b 7.202
_cell_length_c 9.759
_cell_angle_alpha 90.00
_cell_angle_beta 117.97
_cell_angle_gamma 90.00
_symmetry_space_group_name_H-M 'P 1 21/c 1'
_symmetry_Int_Tables_number 14
_symmetry_space_group_name_Hall '-P 2ybc'
loop_
_atom_site_label
_atom_site_type_symbol
_atom_site_fract_x
_atom_site_fract_y
_atom_site_fract_z
K1 K 0.130 0.080 0.227
Sn1 Sn 0.163 0.615 0.102
Sn2 Sn 0.307 0.013 0.940
Sn3 Sn 0.450 0.161 0.670
Pd1 Pd 0.451 0.680 0.053
```

* formation enthalpy at 0 K: -286.8 meV/atom

***

3.
# Pm4Sm3Sc2

A relaxed Pm4Sm3Sc2 crystal (GGA-PBE, Alexandria via LeMat-Bulk).

CIF file:
```
data_Pm4Sm3Sc2
_cell_length_a 15.135
_cell_length_b 5.046
_cell_length_c 7.917
_cell_angle_alpha 90.00
_cell_angle_beta 108.57
_cell_angle_gamma 90.00
_symmetry_space_group_name_H-M 'C 1 2/m 1'
_symmetry_Int_Tables_number 12
_symmetry_space_group_name_Hall '-C 2y'
loop_
_atom_site_label
_atom_site_type_symbol
_atom_site_fract_x
_atom_site_fract_y
_atom_site_fract_z
Pm1 Pm 0.054 0.000 0.327
Pm2 Pm 0.222 0.500 0.323
Sm1 Sm 0.000 0.500 0.000
Sm2 Sm 0.113 0.500 0.673
Sc1 Sc 0.170 0.000 0.999
```

* formation enthalpy at 0 K: 45.6 meV/atom

***

4.
# Co2NiSb

A relaxed Co2NiSb crystal (GGA-PBE, Alexandria via LeMat-Bulk).

CIF file:
```
data_Co2NiSb
_cell_length_a 2.965
_cell_length_b 3.404
_cell_length_c 5.248
_cell_angle_alpha 90.00
_cell_angle_beta 90.00
_cell_angle_gamma 90.00
_symmetry_space_group_name_H-M 'P m m m'
_symmetry_Int_Tables_number 47
_symmetry_space_group_name_Hall '-P 2 2'
loop_
_atom_site_label
_atom_site_type_symbol
_atom_site_fract_x
_atom_site_fract_y
_atom_site_fract_z
Co1 Co 0.000 0.000 0.231
Ni1 Ni 0.500 0.500 0.000
Sb1 Sb 0.500 0.500 0.500
```

***

5.
# MnAs

A relaxed MnAs crystal (GGA-PBE, Alexandria via LeMat-Bulk).

CIF file:
```
data_MnAs
_cell_length_a 3.6879
_cell_length_b 3.6879
_cell_length_c 11.4306